Data =
┌──
The following is a computed powder diffraction line list of SrTiCu4P4O17. It was derived from the GGA-PBE geometry in the Materials Project, using Cu Kα X-rays.
No peak broadening, texture or thermal motion is included.

Top 6 peaks for 10 to 90 degrees two-theta, low angle first:
| 2θ (°) | I_rel | (hkl) |
| --- | --- | --- |
| 22.3 | 40 | 2 0 1 |
| 26.7 | 28 | 1 0 2 |
| 29.0 | 100 | 2 2 1 |
| 30.5 | 32 | 3 0 1 |
| 31.2 | 45 | 2 0 2 |
| 58.4 | 22 | 2 2 4 |

Structural model:
```
data_SrTiCu4P4O17
_cell_length_a 9.6409
_cell_length_b 9.6409
_cell_length_c 7.1291
_cell_angle_alpha 90.00
_cell_angle_beta 90.00
_cell_angle_gamma 90.00
_space_group_name_H-M_alt 'P 4 21 2'
_space_group_IT_number 90
_space_group_name_Hall 'P 4ab 2ab'
loop_
_atom_site_label
_atom_site_type_symbol
_atom_site_fract_x
_atom_site_fract_y
_atom_site_fract_z
_atom_site_occupancy
Sr1 Sr 0.0000 0.0000 0.0000 1
Ti1 Ti 0.0000 0.5000 0.0188 1
Cu1 Cu 0.0195 0.2664 0.5982 1
P1 P 0.1844 0.7266 0.2580 1
O1 O 0.0000 0.5000 0.7795 1
O2 O 0.0988 0.6708 0.0922 1
O3 O 0.1154 0.8457 0.7373 1
O4 O 0.1312 0.6578 0.4461 1
O5 O 0.1611 0.1868 0.7629 1
```

The following is a computed powder diffraction line list of ZrNbN2. It was derived from the GGA-PBE geometry in the Materials Project, using Cu Kα X-rays.
No peak broadening, texture or thermal motion is included.

Top 6 peaks for 10 to 90 degrees two-theta, low angle first:
| 2θ (°) | I_rel | (hkl) |
| --- | --- | --- |
| 34.1 | 87 | 0 1 2 |
| 34.7 | 28 | 0 0 6 |
| 39.8 | 100 | 1 0 4 |
| 57.2 | 32 | 1 1 0 |
| 57.9 | 31 | 0 1 8 |
| 68.6 | 24 | 1 1 6 |

Structural model:
```
data_ZrNbN2
_cell_length_a 3.2232
_cell_length_b 3.2232
_cell_length_c 15.5181
_cell_angle_alpha 90.00
_cell_angle_beta 90.00
_cell_angle_gamma 120.00
_space_group_name_H-M_alt 'R -3 m'
_space_group_IT_number 166
_space_group_name_Hall '-R 3 2"'
loop_
_atom_site_label
_atom_site_type_symbol
_atom_site_fract_x
_atom_site_fract_y
_atom_site_fract_z
_atom_site_occupancy
Zr1 Zr 0.0000 0.0000 0.0000 1
Nb1 Nb 0.0000 0.0000 0.5000 1
N1 N 0.0000 0.0000 0.2492 1
```

The following is a computed powder diffraction line list of Tm3Ag2Pb4. It was derived from the GGA-PBE geometry in the Materials Project, using Cu Kα X-rays.
No peak broadening, texture or thermal motion is included.

Top 6 peaks for 10 to 90 degrees two-theta, low angle first:
| 2θ (°) | I_rel | (hkl) |
| --- | --- | --- |
| 23.7 | 21 | 1 1 3 |
| 31.0 | 100 | 1 1 6 |
| 36.3 | 89 | 3 1 0 |
| 40.5 | 26 | 2 0 9 |
| 48.5 | 29 | 4 0 6 |
| 62.1 | 28 | 4 2 6 |

Structural model:
```
data_Tm3Ag2Pb4
_cell_length_a 8.5719
_cell_length_b 4.9403
_cell_length_c 23.4519
_cell_angle_alpha 90.00
_cell_angle_beta 90.02
_cell_angle_gamma 90.00
_space_group_name_H-M_alt 'C 1 m 1'
_space_group_IT_number 8
_space_group_name_Hall 'C -2y'
loop_
_atom_site_label
_atom_site_type_symbol
_atom_site_fract_x
_atom_site_fract_y
_atom_site_fract_z
_atom_site_occupancy
Tm1 Tm 0.0000 0.0000 0.0000 1
Tm2 Tm 0.9998 0.0000 0.1352 1
Tm3 Tm 0.9998 0.0000 0.3208 1
Tm4 Tm 0.9999 0.0000 0.6583 1
Tm5 Tm 0.9996 0.0000 0.8119 1
Tm6 Tm 0.4994 0.5000 0.4752 1
Ag1 Ag 0.1665 0.5000 0.0682 1
Ag2 Ag 0.3333 0.0000 0.0677 1
Ag3 Ag 0.3328 0.0000 0.3868 1
Ag4 Ag 0.3334 0.0000 0.7278 1
Pb1 Pb 0.1661 0.5000 0.4002 1
Pb2 Pb 0.1664 0.5000 0.8792 1
Pb3 Pb 0.1668 0.5000 0.2026 1
Pb4 Pb 0.1665 0.5000 0.5448 1
Pb5 Pb 0.1665 0.5000 0.7315 1
Pb6 Pb 0.3334 0.0000 0.2547 1
Pb7 Pb 0.3333 0.0000 0.5932 1
Pb8 Pb 0.3331 0.0000 0.9334 1
```

The following is a computed powder diffraction line list of UCuAs2. It was derived from the GGA-PBE geometry in the Materials Project, using Cu Kα X-rays.
No peak broadening, texture or thermal motion is included.

Top 6 peaks for 10 to 90 degrees two-theta, low angle first:
| 2θ (°) | I_rel | (hkl) |
| --- | --- | --- |
| 23.0 | 46 | 1 0 1 |
| 34.3 | 100 | 2 0 0 |
| 35.7 | 69 | 1 0 2 |
| 39.8 | 45 | 1 1 2 |
| 49.3 | 36 | 2 2 0 |
| 50.3 | 53 | 2 1 2 |

Structural model:
```
data_UCuAs2
_cell_length_a 5.2308
_cell_length_b 5.2308
└──

To do =
Could you quote the block earlier on word for word?

Reply =
The following is a computed powder diffraction line list of SrTiCu4P4O17. It was derived from the GGA-PBE geometry in the Materials Project, using Cu Kα X-rays.
No peak broadening, texture or thermal motion is included.

Top 6 peaks for 10 to 90 degrees two-theta, low angle first:
| 2θ (°) | I_rel | (hkl) |
| --- | --- | --- |
| 22.3 | 40 | 2 0 1 |
| 26.7 | 28 | 1 0 2 |
| 29.0 | 100 | 2 2 1 |
| 30.5 | 32 | 3 0 1 |
| 31.2 | 45 | 2 0 2 |
| 58.4 | 22 | 2 2 4 |

Structural model:
```
data_SrTiCu4P4O17
_cell_length_a 9.6409
_cell_length_b 9.6409
_cell_length_c 7.1291
_cell_angle_alpha 90.00
_cell_angle_beta 90.00
_cell_angle_gamma 90.00
_space_group_name_H-M_alt 'P 4 21 2'
_space_group_IT_number 90
_space_group_name_Hall 'P 4ab 2ab'
loop_
_atom_site_label
_atom_site_type_symbol
_atom_site_fract_x
_atom_site_fract_y
_atom_site_fract_z
_atom_site_occupancy
Sr1 Sr 0.0000 0.0000 0.0000 1
Ti1 Ti 0.0000 0.5000 0.0188 1
Cu1 Cu 0.0195 0.2664 0.5982 1
P1 P 0.1844 0.7266 0.2580 1
O1 O 0.0000 0.5000 0.7795 1
O2 O 0.0988 0.6708 0.0922 1
O3 O 0.1154 0.8457 0.7373 1
O4 O 0.1312 0.6578 0.4461 1
O5 O 0.1611 0.1868 0.7629 1
```

The following is a computed powder diffraction line list of ZrNbN2. It was derived from the GGA-PBE geometry in the Materials Project, using Cu Kα X-rays.
No peak broadening, texture or thermal motion is included.

Top 6 peaks for 10 to 90 degrees two-theta, low angle first:
| 2θ (°) | I_rel | (hkl) |
| --- | --- | --- |
| 34.1 | 87 | 0 1 2 |
| 34.7 | 28 | 0 0 6 |
| 39.8 | 100 | 1 0 4 |
| 57.2 | 32 | 1 1 0 |
| 57.9 | 31 | 0 1 8 |
| 68.6 | 24 | 1 1 6 |

Structural model:
```
data_ZrNbN2
_cell_length_a 3.2232
_cell_length_b 3.2232
_cell_length_c 15.5181
_cell_angle_alpha 90.00
_cell_angle_beta 90.00
_cell_angle_gamma 120.00
_space_group_name_H-M_alt 'R -3 m'
_space_group_IT_number 166
_space_group_name_Hall '-R 3 2"'
loop_
_atom_site_label
_atom_site_type_symbol
_atom_site_fract_x
_atom_site_fract_y
_atom_site_fract_z
_atom_site_occupancy
Zr1 Zr 0.0000 0.0000 0.0000 1
Nb1 Nb 0.0000 0.0000 0.5000 1
N1 N 0.0000 0.0000 0.2492 1
```

The following is a computed powder diffraction line list of Tm3Ag2Pb4. It was derived from the GGA-PBE geometry in the Materials Project, using Cu Kα X-rays.
No peak broadening, texture or thermal motion is included.

Top 6 peaks for 10 to 90 degrees two-theta, low angle first:
| 2θ (°) | I_rel | (hkl) |
| --- | --- | --- |
| 23.7 | 21 | 1 1 3 |
| 31.0 | 100 | 1 1 6 |
| 36.3 | 89 | 3 1 0 |
| 40.5 | 26 | 2 0 9 |
| 48.5 | 29 | 4 0 6 |
| 62.1 | 28 | 4 2 6 |

Structural model:
```
data_Tm3Ag2Pb4
_cell_length_a 8.5719
_cell_length_b 4.9403
_cell_length_c 23.4519
_cell_angle_alpha 90.00
_cell_angle_beta 90.02
_cell_angle_gamma 90.00
_space_group_name_H-M_alt 'C 1 m 1'
_space_group_IT_number 8
_space_group_name_Hall 'C -2y'
loop_
_atom_site_label
_atom_site_type_symbol
_atom_site_fract_x
_atom_site_fract_y
_atom_site_fract_z
_atom_site_occupancy
Tm1 Tm 0.0000 0.0000 0.0000 1
Tm2 Tm 0.9998 0.0000 0.1352 1
Tm3 Tm 0.9998 0.0000 0.3208 1
Tm4 Tm 0.9999 0.0000 0.6583 1
Tm5 Tm 0.9996 0.0000 0.8119 1
Tm6 Tm 0.4994 0.5000 0.4752 1
Ag1 Ag 0.1665 0.5000 0.0682 1
Ag2 Ag 0.3333 0.0000 0.0677 1
Ag3 Ag 0.3328 0.0000 0.3868 1
Ag4 Ag 0.3334 0.0000 0.7278 1
Pb1 Pb 0.1661 0.5000 0.4002 1
Pb2 Pb 0.1664 0.5000 0.8792 1
Pb3 Pb 0.1668 0.5000 0.2026 1
Pb4 Pb 0.1665 0.5000 0.5448 1
Pb5 Pb 0.1665 0.5000 0.7315 1
Pb6 Pb 0.3334 0.0000 0.2547 1
Pb7 Pb 0.3333 0.0000 0.5932 1
Pb8 Pb 0.3331 0.0000 0.9334 1
```

The following is a computed powder diffraction line list of UCuAs2. It was derived from the GGA-PBE geometry in the Materials Project, using Cu Kα X-rays.
No peak broadening, texture or thermal motion is included.

Top 6 peaks for 10 to 90 degrees two-theta, low angle first:
| 2θ (°) | I_rel | (hkl) |
| --- | --- | --- |
| 23.0 | 46 | 1 0 1 |
| 34.3 | 100 | 2 0 0 |
| 35.7 | 69 | 1 0 2 |
| 39.8 | 45 | 1 1 2 |
| 49.3 | 36 | 2 2 0 |
| 50.3 | 53 | 2 1 2 |

Structural model:
```
data_UCuAs2
_cell_length_a 5.2308
_cell_length_b 5.2308